Artificial Mir II Open BETA Test

Open BETA Testing is finally upon us. Commencing 13/01/2020, everyone will be able to get involved and test the in-development files. We will update the download links on the website as soon as the server is open on 13/01. (

We are still working on many aspects of the files even now, and will continue to work towards our release milestone during Open BETA. This will take time, and our test duration will be extended to accommodate for this. This is the first time we will be opening the Phoenix 2.0 files up for anyone to test and get involved in our development process.

Current plans are for BETA to last anything from 8 weeks to 24 weeks depending on how many issues we face and how fast we can implement the currently missing and/or broken features. At the end of the extended BETA test, there will be 1 final wipe before full launch/release.

Phoenix and Dragon Server Announcement & Gameplay Update 0.1.12

I have a big announcement to make regarding these files….

(Between two parts of the piece: data records)
'''
Entry from Alexandria: a geometry-optimized LaSmSi structure (GGA-PBE).

Offset from the most stable computed form (eV per atom): 0.000
Energy relative to the elements, uncorrected (eV per atom): -0.525
SG: P-62m
Total magnetization (μB/f.u.): 0.5
Crystal system: hexagonal

Cell lengths 8.108, 8.108, 4.385 Å; angles 90.00, 90.00, 120.00 degrees
Sites, in units of the cell vectors:
La: 0.000 0.590 0.000
La: 0.410 0.410 0.000
La: 0.590 0.000 0.000
Sm: 0.000 0.262 0.500
Sm: 0.262 0.000 0.500
Sm: 0.738 0.738 0.500
Si: 0.000 0.000 0.000
Si: 0.333 0.667 0.500
Si: 0.667 0.333 0.500

----------

No. 1
A geometry-optimized Li2LaAs structure. Source: Alexandria via LeMat-Bulk, functional GGA-PBE.

Structure (POSCAR):
```
Li2LaAs
1.0
4.972 0.000 0.000
2.486 4.306 0.000
2.486 1.435 4.059
Li La As
2 1 1
direct
0.000 0.000 0.000
0.250 0.250 0.250
0.750 0.750 0.750
0.500 0.500 0.500
```

Final energy   -3.863 eV per atom
Energy relative to the elements   -0.512 eV per atom
Symmetry   F-43m (216)



No. 2
A geometry-optimized Li2LaAs structure. Source: Alexandria via LeMat-Bulk, functional GGA-PBE.

Structure (POSCAR):
```
Li2LaAs
1.0
-0.815 -3.321 2.301
1.865 -2.336 -2.710
5.994 -0.338 1.636
Li La As
2 1 1
direct
0.000 0.975 0.163
0.500 0.449 0.213
0.500 0.750 0.646
0.000 0.327 0.478
```

Final energy   -4.015 eV per atom
Energy relative to the elements   -0.664 eV per atom
Symmetry   Pm (6)



No. 3
A geometry-optimized LiLaAs2 structure. Source: Alexandria via LeMat-Bulk, functional GGA-PBE.

Structure (POSCAR):
```
LiLaAs2
1.0
-4.221 -7.893 -2.748
-1.095 -9.165 -1.571
-3.755 -8.546 0.734
Li As La
1 2 1
direct
0.730 0.730 0.730
0.992 0.992 0.992
0.269 0.269 0.269
0.510 0.510 0.510
```

Final energy   -4.108 eV per atom
Energy relative to the elements   -0.073 eV per atom
Offset from the most stable computed form   970 meV/atom
Symmetry   R3m (160)



No. 4
A geometry-optimized Li2LaAs structure. Source: Alexandria via LeMat-Bulk, functional GGA-PBE.

Structure (POSCAR):
```
Li2LaAs
1.0
6.326 0.088 0.009
3.319 5.386 -0.009
-4.515 -3.280 2.982
Li As La
2 1 1
direct
0.545 0.545 0.000
0.955 0.955 0.000
0.750 0.250 0.500
0.250 0.750 0.500
```

Final energy   -3.832 eV per atom
Energy relative to the elements   -0.481 eV per atom
Symmetry   Immm (71)



No. 5
A geometry-optimized Li2LaAs structure. Source: Alexandria via LeMat-Bulk, functional GGA-PBE.

Structure (POSCAR):
```
Li2LaAs
1.0
3.827 0.198 0.000
-0.211 3.826 0.000
0.000 0.000 6.799
Li La As
2 1 1
direct
0.500 0.500 0.247
0.000 0.000 0.087
0.500 0.500 0.686
0.000 0.000 0.480
```

Final energy   -3.833 eV per atom
Energy relative to the elements   -0.482 eV per atom
Symmetry   Cmm2 (35)



No. 6
A geometry-optimized Li3LaAs structure. Source: Alexandria via LeMat-Bulk, functional GGA-PBE.

Structure (POSCAR):
```
Li3LaAs
1.0
5.293 0.000 0.000
0.000 5.293 0.000
0.000 0.000 5.293
La Li As
1 3 1
direct
0.000 0.000 0.000
0.000 0.500 0.000
0.500 0.000 0.000
0.000 0.000 0.500
0.500 0.500 0.500
```
'''

After much deliberation and consideration, we’ve decided on a new development plan. Hopefully, one which can actually deliver on a lot of promises we’ve been struggling to keep regarding the current character database. Everyone who has been following this project is likely to be aware these files are in a pretty advanced state of development already, and one of the most frequent and fair questions I’m asked is when will the server be coming out of testing.

We’ve come to the decision that this database will never come out of testing and will instead be preserved indefinitely as our public test server (Artificial Phoenix) throughout development. Currently, I want to take pressure off my developer and allow him to complete his work at his leisure, this means the big Version 2 (the full game I envisioned launching back in 2017) will probably not be coming until late 2018/2019 and will be launched as our Primary Dragon server. Everyone on the current database has shown excitement to play Dragon, and it is still entirely planned to be our A-side server.

So why keep Phoenix? Essentially we need a test server, somewhere we can prototype and is less stable but with proper meaningful data and characters. This means new and exclusive releases as we release Dragon will be first tested on the old server.

For me, this is the ideal solution as I don’t consider this database to be in any kind of dirty state, and I am really struggling to justify the removal of it long term. This message will be followed by a formal announcement and we will be moving our thread into the Live Server Advertisements this week.

Obviously, we’re aware this database is unclean, in that there have been numerous and ongoing persistent bugs through development, we’re not in a position to address this yet – but for anyone who wants a fun server to join, there is no longer a looming threat of wipe on this existing files and the squeaky clean server will be launched later in 2018/2019. I already run a test server myself, those resources will be reassigned to this server when we release Dragon which will include multi-server support.

I have coined this, the 2 server solution. It’s happening, stay tuned.

Game Updates:

Minor fixes to Guard positions and routes in BichonWall
Sabuk Conquest War Added (Unpolished)
TravellingMerchant_Damian no longer visits Bichon Wall
TravellingMerchant_Fred added exclusively to Bichon (9:30am-12:30pm and 9:30pm-12:30am)
Assigned AI to WitchDoctor
Assigned AI to HellSlasher
Assigned AI to HellPirate
Assigned AI to HellCannibal
Assigned AI to HellKeeper
Added Statue NPC to ViperMaze Floor 1-4
Added Correct Logic to SkullPile NPC (Now Randomly Teleports with [1/2] chance to same location on floors 1 and 2 of ViperMaze)
Added OldMan NPC outside SabukWall (with information regarding contesting guild and war times)
Reworked HellCave monster stats
CrystalArmour(M) and (F) now available for Sins and Archers
Rebuilt HellCave spawns
Added HellCave OverPass NPCs
Reduction in the drop of Luck Added Necklaces
Various new NPCs
Fixed Bait Prices
New Lite Client Available on Downloads Page (0.1.11)

Minor Gameplay Update 0.1.10

Game Updates:

Various Stablility and Security Fixes (No more nano-lag on high-end setups)
Prepared Maps for AST
Adjusted Spawns and Drops for AST
Created AST Quest
AST Open (Unpolished)
Premium_Elijah updated
Added MediumArmour back into the game (Also now Common rarity)
AncientBlackMaggot level adjusted
AncientBlackMaggot can now Tame
Dung no longer Tameable
Added additional MapMove events to WasteLands from Bichon (Fix)
Performance Optimizations regarding Threading
Added HeroicStatues
Added GoldKey Mechanics
PreparedMaps for: LowLevelCave / SlaveCave
Fixed NewbieGuild still applying 25% buff still at login during early open test phase
Updated MirGuide NPC Script to the new version across the game
Changed MirGuide cosmetics in SerpentValley to match others
LowLevelCave Rebuilt
MirKing added to game
Slave added to game
SlaveCave Rebuilt
LowLevelCave/MidLevelCave NPCs added to game
MidLevelCave Rebuilt
LowLevelCave/MidLevelCave Open